Editing a Ménard pressuremeter test report
Selecting record
(1) You can create a filter to display the desired record, see Filtering records
(2) Click record item (ex: SP 2 - 4m - 11/20/2012 12:44:59)
Displaying data
The content of Ménard pressuremeter test report complies to ISO 22476-4 standard. The presentation adopted is very close to the format proposed in the standard.
(3) Displaying Data table (page 1) See Displaying pressure and volume readings
(4) Displaying Results table (page 2) See Obtaining pressuremeter parameters
(5) Displaying Data & Results tables (pages 1 and 2)
The header (6) is repeated on every page. The value of the framed fields can be changed by simply clicking (7)
The report fills by default the full available width of the screen (8)
The display A4 (9) format is similar to the PDF document (10)
Checking tests
Field test
Each field TEST (11) is associated with a PRESSURE LOSS test (12).
Pressure loss test
The PRESSURE LOSS test (12) is used to correct the Raw pressure p60 (13) to the corrected pressure p (14).
The associated pressure loss test can be changed by clicking (15) PRESSURE LOSS TEST header panel.
Each PRESSURE LOSS test is associated with a specific VOLUME LOSS test (16).
Volume loss test
The VOLUME LOSS test (16) is used to correct the raw volume V60 (17) to the corrected volume V (18).
Each Volume loss test is associated with a specific PROBE (19).
Pressuremeter probe
The PROBE (19) features allow for example the determination of the conventional original volume Vc which occurs in results EM and pl.
Changing the pressure loss test
Click (11) TEST tab, then click (15) PRESSURE LOSS TEST header panel.
Then select in the list the new Pressure loss test.
Changing the volume loss test
Click (12) PRESSURE LOSS tab, then click VOLUME LOSS header panel.
Then select in the list the new Volume loss test.
Changing the probe
Click (16) VOLUME LOSS tab, then click PROBE header panel.
Then select in the list the new Probe.
To create a new probe, see Creating a Ménard pressuremeter probe.
Creating a PDF document
You can generate the PDF reports from the Ménard pressuremeter test.
Field test
Click (11) TEST tab, then click (10) PDF.
Pressure loss test
Click (12) PRESSURE LOSS tab, then click (10) PDF.
Volume loss test
Click (16) VOLUME LOSS tab, then click (10) PDF.
NOTE : The probe does not have its own report, it is displayed in summary form on the other 3.
Displaying pressure and volume readings
Show intermediate calculations of corrected pressure
(1) Click
to show intermediate calculations of corrected pressure
(2) pc Pressure corrected from hydrostatic pressure
Pc = PR60 + Ph (hydrostatic pressure)
(3) pE(Vr) Equivalent pressure (same volume) in pressure loss
(4) p Final corrected pressure
P = Pc - Pe(Vr)
(5) Click
to hide intermediate calculations of corrected pressure
Show gas pressures
(1) Click
to show gas pressures
(2) pg1, pg15, pg30, pg60: gas pressures read on the pressure controller
(3) pk1, pk15, pk30, pk: gas pressures in guard cells. See ISO 22476-4 B.4.4 Estimation of gas pressure in guard cells for a given test
== What comes next are calculated crystals, not part of the entry ==
Nd2MgIn | PBE | relaxed

## Properties
- E_tot: -3.800 eV/atom
- Calculated density: 6.09 g/cm³

Unit cell a=7.755 b=7.755 c=7.755 alpha=90.00 beta=90.00 gamma=90.00
Space group Fm-3m (No. 225)
Symmetry-distinct sites (fractional):
Nd (0.250, 0.250, 0.250)
Mg (0.000, 0.000, 0.000)
In (0.000, 0.000, 0.500)

---

MgIn2O4 | PBE | relaxed

## Properties
- E_tot: -5.721 eV/atom
- Excess energy over the best structure of this formula in the dataset: 6 meV/atom
- Calculated density: 5.68 g/cm³

Unit cell a=9.060 b=9.060 c=9.060 alpha=90.00 beta=90.00 gamma=90.00
Space group Fd-3m (No. 227, origin choice 2)
Symmetry-distinct sites (fractional):
Mg (0.125, 0.125, 0.125)
In (0.000, 0.000, 0.500)
O (0.006, 0.006, 0.744)

---

MgIn2O4 | PBE | relaxed

## Properties
- E_tot: -5.727 eV/atom
- Excess energy over the best structure of this formula in the dataset: 0 meV/atom
- Calculated density: 5.78 g/cm³

Unit cell a=6.328 b=6.438 c=8.964 alpha=90.00 beta=90.00 gamma=90.00
Space group Imma (No. 74)
Symmetry-distinct sites (fractional):
Mg (0.250, 0.250, 0.250)
In (0.000, 0.000, 0.000)
In (0.000, 0.250, 0.631)
O (0.000, 0.024, 0.243)
O (0.236, 0.250, 0.013)

---

MgIn2O4 | PBE | relaxed

## Properties
- E_tot: -5.724 eV/atom
- Excess energy over the best structure of this formula in the dataset: 3 meV/atom
- Calculated density: 5.76 g/cm³

Unit cell a=10.982 b=6.430 c=26.203 alpha=90.00 beta=98.11 gamma=90.00
Space group Cm (No. 8)
Symmetry-distinct sites (fractional):
Mg (0.000, 0.000, 0.000)
Mg (0.000, 0.000, 0.499)
Mg (0.097, 0.500, 0.799)
Mg (0.100, 0.500, 0.299)
Mg (0.200, 0.000, 0.100)
Mg (0.200, 0.000, 0.599)
Mg (0.300, 0.500, 0.399)
Mg (0.400, 0.000, 0.199)
Mg (0.400, 0.000, 0.699)
Mg (0.473, 0.000, 0.925)
In (0.028, 0.500, 0.073)
In (0.050, 0.250, 0.399)
In (0.072, 0.000, 0.725)
In (0.128, 0.000, 0.875)
In (0.150, 0.250, 0.199)
In (0.172, 0.500, 0.525)
In (0.228, 0.500, 0.674)
In (0.250, 0.250, 0.000)
In (0.272, 0.000, 0.325)
In (0.301, 0.500, 0.902)
In (0.328, 0.000, 0.474)
In (0.352, 0.245, 0.799)
In (0.372, 0.500, 0.126)
In (0.428, 0.500, 0.274)
In (0.450, 0.250, 0.599)
O (0.004, 0.274, 0.248)
O (0.037, 0.500, 0.649)
O (0.048, 0.500, 0.155)
O (0.052, 0.000, 0.644)
O (0.063, 0.000, 0.150)
O (0.096, 0.226, 0.551)
O (0.104, 0.226, 0.048)
O (0.136, 0.000, 0.449)
O (0.147, 0.000, 0.955)
O (0.152, 0.500, 0.444)
O (0.157, 0.500, 0.951)
O (0.196, 0.274, 0.351)
O (0.202, 0.271, 0.847)
O (0.236, 0.500, 0.249)
O (0.249, 0.500, 0.755)
O (0.252, 0.000, 0.244)
O (0.262, 0.000, 0.749)
O (0.296, 0.226, 0.151)
O (0.304, 0.226, 0.648)
O (0.336, 0.000, 0.050)
O (0.348, 0.000, 0.555)
O (0.352, 0.500, 0.044)
O (0.363, 0.500, 0.550)
O (0.398, 0.265, 0.952)
O (0.404, 0.274, 0.448)
O (0.439, 0.500, 0.847)
O (0.448, 0.500, 0.355)
O (0.451, 0.000, 0.845)
O (0.463, 0.000, 0.350)
O (0.496, 0.226, 0.751)

---

MgInPd2 | PBE | relaxed

## Properties
- E_tot: -4.350 eV/atom
- Calculated density: 8.53 g/cm³

Unit cell a=6.496 b=6.496 c=6.496 alpha=90.00 beta=90.00 gamma=90.00
(4) Click
to hide gas pressures